In a seemingly unlikely pairing, the mesmerizing canvases of Sergio Lucena, known for his ethereal landscapes and vibrant geometric forms, find common ground with the sculptures of the late Brazilian constructivist master, Sergio Camargo (1930-1990). Despite their distinct artistic practices and disparate time periods, ‘A Forma da Luz,’ currently on view at the Curitiba branch of the Simões de Assis Gallery until November 30th, presents a compelling dialogue between their works.
# HoScS3 | the Materials Project | meta-GGA r2SCAN | relaxed
# Energy of formation, eV per atom: -2.2667
data_HoScS3
_space_group_name_H-M_alt 'P n m a'
_space_group_IT_number 62
_space_group_name_Hall '-P 2ac 2n'
_cell_length_a 6.9739
_cell_length_b 9.5292
_cell_length_c 6.3572
_cell_angle_alpha 90.00
_cell_angle_beta 90.00
_cell_angle_gamma 90.00
loop_
_atom_site_label
_atom_site_type_symbol
_atom_site_fract_x
_atom_site_fract_y
_atom_site_fract_z
Ho1 Ho 0.1006 0.2500 0.0411
Sc1 Sc 0.0000 0.0000 0.5000
S1 S 0.0496 0.7500 0.3532
S2 S 0.1843 0.5726 0.8240


# PmNd3 | the Materials Project | meta-GGA r2SCAN | relaxed
# Energy relative to the lowest polymorph listed for this composition, meV per atom: 0
# Energy of formation, eV per atom: 0.0193
data_PmNd3
_space_group_name_H-M_alt 'I 4/m m m'
_space_group_IT_number 139
_space_group_name_Hall '-I 4 2'
_cell_length_a 5.2175
_cell_length_b 5.2175
_cell_length_c 10.3635
_cell_angle_alpha 90.00
_cell_angle_beta 90.00
_cell_angle_gamma 90.00
loop_
_atom_site_label
_atom_site_type_symbol
_atom_site_fract_x
_atom_site_fract_y
_atom_site_fract_z
Pm1 Pm 0.0000 0.0000 0.0000
Nd1 Nd 0.0000 0.0000 0.5000
Nd2 Nd 0.0000 0.5000 0.2500


# SrF3 | the Materials Project | meta-GGA r2SCAN | relaxed
# Energy of formation, eV per atom: -3.0249
data_SrF3
_space_group_name_H-M_alt 'I 4/m m m'
_space_group_IT_number 139
_space_group_name_Hall '-I 4 2'
_cell_length_a 3.9923
_cell_length_b 3.9923
_cell_length_c 6.4684
_cell_angle_alpha 90.00
_cell_angle_beta 90.00
_cell_angle_gamma 90.00
loop_
_atom_site_label
_atom_site_type_symbol
_atom_site_fract_x
_atom_site_fract_y
_atom_site_fract_z
Sr1 Sr 0.0000 0.0000 0.0000
F1 F 0.0000 0.0000 0.5000
F2 F 0.0000 0.5000 0.2500


# TaCrCo | the Materials Project | meta-GGA r2SCAN | relaxed
# Energy of formation, eV per atom: 0.0037
data_TaCrCo
_space_group_name_H-M_alt 'A m m 2'
_space_group_IT_number 38
_space_group_name_Hall 'A 2 -2'
_cell_length_a 7.9549
_cell_length_b 4.7923
_cell_length_c 8.1647
_cell_angle_alpha 90.00
_cell_angle_beta 90.00
_cell_angle_gamma 90.00
loop_
_atom_site_label
_atom_site_type_symbol
_atom_site_fract_x
_atom_site_fract_y
_atom_site_fract_z
Ta1 Ta 0.1835 0.0000 0.0000
Ta2 Ta 0.3108 0.0000 0.6676
Cr1 Cr 0.0000 0.0000 0.4952
Cr2 Cr 0.5000 0.0000 0.1604
Cr3 Cr 0.5000 0.2450 0.9177
Co1 Co 0.0000 0.2469 0.7378
Co2 Co 0.2429 0.0000 0.3304


# LiV3O8 | the Materials Project | meta-GGA r2SCAN | relaxed
# Energy of formation, eV per atom: -2.4707
data_LiV3O8
_space_group_name_H-M_alt 'P 1 21/m 1'
_space_group_IT_number 11
_space_group_name_Hall '-P 2yb'
_cell_length_a 6.6580
_cell_length_b 3.5571
_cell_length_c 11.7182
_cell_angle_alpha 90.00
_cell_angle_beta 104.44
_cell_angle_gamma 90.00
loop_
_atom_site_label
_atom_site_type_symbol
_atom_site_fract_x
_atom_site_fract_y
_atom_site_fract_z
Li1 Li 0.1839 0.2500 0.1822
V1 V 0.1301 0.7500 0.4191
V2 V 0.2708 0.7500 0.6930
V3 V 0.3034 0.7500 0.9615
O1 O 0.0508 0.2500 0.4286
O2 O 0.1248 0.7500 0.8255
The exhibition juxtaposes Lucena’s vibrant paintings with Camargo’s powerful sculptures, creating a visual conversation that resonates across both the visual and experimental realms. “Once, I saw a statement by [Sergio] Camargo where he claimed that his primary material was light. While our languages are different, I can say the same about my paintings,” explains Lucena, who recently exhibited 72 works spanning his 40-year career at the Museu Afro Brasil. “We have very different origins and training. I have no connection to constructivism like Camargo, but there is something very strong that parallels us. Both artists have an obsession with pushing their work to its full potential.”
For this exhibition, Lucena has created a series of new canvases that engage directly with Camargo’s sculptures from the 1970s, creating an immersive and dynamic experience within the gallery space. “These are all new works, produced between 2023 and 2024. However, many of them were paintings that were in my studio on hold, some since 2016, and I only now found a solution for them,” details the artist. “This is the first body of painting that I have created in my new studio in Serra do Itapetinga. Now, with this series, which I’ve called ‘Corpo da Luz,’ the painting and the artist have finally settled into the new space.”
## Materials data, kept here for reference
The following is a DFT calculation (PBE-GGA) of a geometry-optimized Mg3Si4 structure.

The structure in POSCAR format:
```
Mg3Si4
1.0
1.951 8.266 0.000
-1.951 8.266 0.000
0.000 0.207 8.098
Mg Si
6 8
Cartesian
0.000 0.533 3.723
0.000 15.621 0.359
0.000 2.361 0.698
0.000 13.048 1.735
0.000 3.962 4.205
0.000 7.346 5.898
0.000 10.724 3.012
0.000 14.285 4.320
0.000 10.538 5.555
0.000 1.145 6.448
0.000 8.732 1.712
0.000 5.258 7.754
0.000 6.593 2.925
0.000 12.910 6.347
```

Properties
* symmetry: Cm, No. 8
* DFT formation energy: 0.13 eV/atom
* V: 261 Å³ per cell
* ΔE to the lowest computed polymorph: 25 kJ/mol of formula units

~~~~~

[1]
A relaxed structure of Li9Mn2Co5O16, computed with GGA+U.

Properties
Total magnetic moment ... 18.00 Bohr magnetons per cell
Distance to the lowest polymorph of the same formula ... 0.081 eV per atom

a b c (Å): 3.0360 9.7885 10.0097
angles (deg): 87.53 88.14 82.89
Last column: nearest neighbours and their distance in Å.
Element x y z (fractional)
Li (0.0000, 0.0000, 0.0000)  6 O 2.02-2.23
Li (0.1163, 0.7552, 0.1903)  6 O 2.08-2.31
Li (0.1278, 0.7527, 0.6869)  6 O 2.01-2.25
Li (0.3771, 0.2490, 0.5642)  6 O 2.07-2.25
Li (0.3814, 0.2415, 0.0630)  6 O 2.17-2.23
Li (0.6186, 0.7585, 0.9370)  6 O 2.17-2.23
Li (0.6229, 0.7510, 0.4358)  6 O 2.07-2.25
Li (0.8722, 0.2473, 0.3131)  6 O 2.01-2.25
Li (0.8837, 0.2448, 0.8097)  6 O 2.08-2.31
Mn (0.2428, 0.5003, 0.8734)  4 O 1.95-1.99
Mn (0.7572, 0.4997, 0.1266)  4 O 1.95-1.99
Co (0.0000, 0.0000, 0.5000)  6 O 1.91-2.13
Co (0.2531, 0.5006, 0.3769)  6 O 1.92-2.13
Co (0.4987, 0.0013, 0.2412)  3 O 1.74-1.94
Co (0.5013, 0.9987, 0.7588)  3 O 1.74-1.94
Co (0.7469, 0.4994, 0.6231)  6 O 1.92-2.13
O (0.0828, 0.8858, 0.8357)  2 Co 1.91-2.11, 2 Li 2.01-2.02
O (0.0895, 0.8872, 0.3483)  2 Co 1.91-2.02, 1 Li 2.08
O (0.1583, 0.6182, 0.0282)  2 Mn 1.96-1.99, 1 Li 2.14
O (0.1980, 0.6165, 0.5275)  3 Co 1.92-2.13, 2 Li 2.11-2.12
O (0.2920, 0.3855, 0.7181)  1 Mn 1.95, 2 Co 2.06-2.11, 2 Li 2.07-2.12
O (0.3447, 0.3844, 0.2242)  1 Co 1.94, 1 Mn 1.99, 1 Li 2.15
O (0.4404, 0.1146, 0.8874)  1 Co 1.74
O (0.4498, 0.1099, 0.3993)  3 Co 1.94-2.13, 1 Li 2.11
O (0.5502, 0.8901, 0.6007)  3 Co 1.94-2.13, 1 Li 2.11
O (0.5596, 0.8854, 0.1126)  1 Co 1.74
O (0.6553, 0.6156, 0.7758)  1 Co 1.94, 1 Mn 1.99, 1 Li 2.15
O (0.7080, 0.6145, 0.2819)  1 Mn 1.95, 2 Co 2.06-2.11, 2 Li 2.07-2.12
O (0.8020, 0.3835, 0.4725)  3 Co 1.92-2.13, 2 Li 2.11-2.12
O (0.8417, 0.3818, 0.9718)  2 Mn 1.96-1.99, 1 Li 2.14
O (0.9105, 0.1128, 0.6517)  2 Co 1.91-2.02, 1 Li 2.08
O (0.9172, 0.1142, 0.1643)  2 Co 1.91-2.11, 2 Li 2.01-2.02

=====

[2]
A relaxed structure of NaLiV2O6, computed with GGA+U.

Properties
Total magnetic moment ... 0.00 Bohr magnetons per cell
Distance to the lowest polymorph of the same formula ... 0.015 eV per atom

a b c (Å): 7.0222 7.0256 11.8734
angles (deg): 74.66 74.67 82.51
Last column: nearest neighbours and their distance in Å.
Element x y z (fractional)
Na (0.0000, 0.0000, 0.0000)  6 O 2.35-2.59
## End of the materials data
While Lucena’s focus is on painting and Camargo dedicated his career to sculpture, Lucena believes there are strong commonalities between their work. “It’s a dialogue between the three-dimensional and the two-dimensional around the same theme: matter and its transcendence,” argues the artist. “Light is the element that transforms matter into something beyond itself. I think this is the ‘leitmotif’ of both ‘Sergios’ and the essence of this exhibition.”
### Someone pasted data records at this point
/*
Crystalline Cr3CoP6O24 at its relaxed geometry, computed with PBE with a Hubbard U.

The structure in POSCAR format:
```
Cr3CoP6O24
1.0
4.257 2.458 7.215
-4.257 2.458 7.215
0.000 -4.915 7.215
Cr Co P O
3 1 6 24
direct
0.000 0.000 0.000
0.215 0.215 0.215
0.500 0.500 0.500
0.714 0.714 0.714
0.103 0.395 0.823
0.330 0.890 0.608
0.395 0.823 0.103
0.608 0.330 0.890
0.823 0.103 0.395
0.890 0.608 0.330
0.076 0.222 0.849
0.076 0.437 0.294
0.138 0.367 0.992
0.146 0.915 0.783
0.222 0.849 0.076
0.276 0.424 0.638
0.294 0.076 0.437
0.353 0.720 0.578
0.367 0.992 0.138
0.424 0.638 0.276
0.437 0.294 0.076
0.504 0.871 0.628
0.578 0.353 0.720
0.580 0.803 0.926
0.628 0.504 0.871
0.638 0.276 0.424
0.720 0.578 0.353
0.783 0.146 0.915
0.803 0.926 0.580
0.849 0.076 0.222
0.871 0.628 0.504
0.915 0.783 0.146
0.926 0.580 0.803
0.992 0.138 0.367
```



Crystalline LiMo2PO8 at its relaxed geometry, computed with PBE with a Hubbard U.

Energy relative to the lowest polymorph listed for this composition   0 meV per atom

The structure in POSCAR format:
```
LiMo2PO8
1.0
6.727 0.000 0.000
0.000 5.249 0.000
-0.004 0.000 17.727
Li Mo P O
4 8 4 32
direct
0.235 0.000 0.291
0.260 0.051 0.791
0.740 0.551 0.209
0.765 0.500 0.709
0.001 0.023 0.625
0.156 0.017 0.952
0.344 0.031 0.452
0.499 0.025 0.125
0.501 0.525 0.875
0.656 0.531 0.548
0.844 0.517 0.048
0.999 0.523 0.375
0.206 0.507 0.192
0.294 0.541 0.692
0.706 0.041 0.308
0.794 0.007 0.808
0.007 0.513 0.148
0.040 0.727 0.990
0.138 0.369 0.656
0.152 0.223 0.384
0.156 0.609 0.272
0.158 0.011 0.543
0.212 0.821 0.697
0.213 0.731 0.417
0.287 0.228 0.198
0.287 0.316 0.918
0.342 0.035 0.043
0.342 0.439 0.772
0.348 0.825 0.883
0.362 0.680 0.157
0.459 0.320 0.490
0.494 0.536 0.648
0.506 0.036 0.352
0.541 0.820 0.510
0.638 0.180 0.843
0.652 0.325 0.117
0.658 0.535 0.957
0.658 0.939 0.228
0.713 0.728 0.802
0.713 0.816 0.082
0.787 0.231 0.583
0.788 0.321 0.303
0.842 0.511 0.457
0.844 0.109 0.728
0.848 0.723 0.616
0.862 0.869 0.344
0.960 0.227 0.010
0.993 0.013 0.852
```



Crystalline Na9W16O48 at its relaxed geometry, computed with PBE with a Hubbard U.

The structure in POSCAR format:
```
Na9W16O48
1.0
5.518 -3.902 0.000
5.518 3.902 0.000
-0.034 0.000 22.071
Na W O
9 16 48
direct
0.000 0.000 0.000
0.250 0.250 0.126
0.250 0.250 0.375
0.250 0.250 0.625
0.250 0.250 0.874
0.750 0.750 0.126
0.750 0.750 0.375
0.750 0.750 0.625
0.750 0.750 0.874
0.000 0.500 0.000
0.000 0.500 0.251
0.000 0.500 0.500
0.000 0.500 0.749
0.250 0.750 0.375
0.250 0.750 0.625
0.251 0.749 0.126
0.251 0.749 0.874
0.500 0.000 0.000
0.500 0.000 0.251
0.500 0.000 0.500
0.500 0.000 0.749
0.749 0.251 0.126
0.749 0.251 0.874
0.750 0.250 0.375
0.750 0.250 0.625
0.012 0.012 0.625
0.013 0.013 0.124
0.105 0.629 0.183
0.105 0.629 0.683
0.115 0.645 0.060
0.117 0.640 0.561
0.128 0.607 0.934
0.129 0.605 0.433
0.140 0.616 0.811
0.140 0.617 0.311
0.248 0.248 0.007
0.250 0.250 0.244
0.250 0.250 0.506
0.250 0.250 0.744
0.355 0.885 0.940
0.360 0.883 0.439
0.371 0.895 0.317
0.371 0.895 0.817
*/
‘A Forma da Luz’ invites viewers to experience the power of light as a transformative element in art, bridging the gap between two distinct artistic voices in a compelling and unexpected exhibition. Don’t miss this opportunity to explore the captivating world of Sergio Lucena and Sergio Camargo at the Simões de Assis Gallery in Curitiba.